Wanted:
It remains to filter the notes further below: keep the lines with the word "Materials".
Material:
-- begin --
No. 1
RbAuBr3: calculated powder diffractogram (copper Kα), based on a crystal structure in the Materials Project, relaxed with GGA-PBE.
Lines closer than 0.1° are merged.

Peak list (10 most intense, 2θ from 10° to 90°, sorted by position)
Position (°2θ)	d/Å	intensity
15.44	5.738	44
15.94	5.560	81
20.62	4.307	77
21.38	4.155	20
23.79	3.740	55
31.17	2.869	42
32.20	2.780	100
35.00	2.564	32
48.06	1.893	18
48.70	1.870	52

```
RbAuBr3
1.0
6.483 -3.741 0.000
6.483 3.741 0.000
-3.956 0.000 7.524
Rb Au Br
2 2 6
Direct
0.226 0.226 0.230 Rb
0.774 0.774 0.770 Rb
0.000 0.000 0.500 Au
0.500 0.500 0.000 Au
0.213 0.213 0.635 Br
0.227 0.699 0.177 Br
0.301 0.773 0.823 Br
0.699 0.227 0.177 Br
0.773 0.301 0.823 Br
0.787 0.787 0.365 Br
```

No. 2
YGaPd2: calculated powder diffractogram (copper Kα), based on a crystal structure in the Materials Project, relaxed with GGA-PBE.
Lines closer than 0.1° are merged.

Peak list (10 most intense, 2θ from 10° to 90°, sorted by position)
Position (°2θ)	d/Å	intensity
31.49	2.841	37
31.93	2.803	38
34.13	2.627	49
34.79	2.579	90
36.41	2.467	100
38.41	2.344	75
39.88	2.261	85
42.64	2.121	69
42.82	2.112	74
63.46	1.466	42

```
YGaPd2
1.0
7.408 0.000 0.000
0.000 7.185 0.000
0.000 0.000 5.619
Y Ga Pd
4 4 8
Direct
0.032 0.250 0.144 Y
0.468 0.750 0.644 Y
0.532 0.250 0.356 Y
0.968 0.750 0.856 Y
0.114 0.750 0.356 Ga
0.386 0.250 0.856 Ga
0.614 0.750 0.144 Ga
0.886 0.250 0.644 Ga
0.183 0.051 0.590 Pd
0.183 0.449 0.590 Pd
0.317 0.551 0.090 Pd
0.317 0.949 0.090 Pd
0.683 0.051 0.910 Pd
0.683 0.449 0.910 Pd
0.817 0.551 0.410 Pd
0.817 0.949 0.410 Pd
```

No. 3
Rb3SbBr6: calculated powder diffractogram (copper Kα), based on a crystal structure in the Materials Project, relaxed with GGA-PBE.
Lines closer than 0.1° are merged.

Peak list (10 most intense, 2θ from 10° to 90°, sorted by position)
Position (°2θ)	d/Å	intensity
14.59	6.072	31
20.69	4.293	33
25.41	3.506	53
29.42	3.036	100
32.99	2.715	14
42.09	2.147	71
49.81	1.831	20
52.19	1.753	24
69.20	1.358	28
76.93	1.239	20

```
Rb3SbBr6
1.0
0.000 6.072 6.072
6.072 0.000 6.072
6.072 6.072 0.000
Rb Sb Br
3 1 6
Direct
0.000 0.000 0.000 Rb
0.250 0.250 0.250 Rb
0.750 0.750 0.750 Rb
0.500 0.500 0.500 Sb
0.268 0.268 0.732 Br
0.268 0.732 0.268 Br
0.268 0.732 0.732 Br
0.732 0.268 0.268 Br
0.732 0.268 0.732 Br
0.732 0.732 0.268 Br
```

No. 4
CsKMg6O7: calculated powder diffractogram (copper Kα), based on a crystal structure in the Materials Project, relaxed with GGA-PBE.
Lines closer than 0.1° are merged.

Peak list (10 most intense, 2θ from 10° to 90°, sorted by position)
Position (°2θ)	d/Å	intensity
11.00	8.046	34
17.77	4.992	31
20.94	4.242	32
27.59	3.233	16
28.49	3.133	31
33.78	2.653	39
35.98	2.496	100
38.09	2.363	22
51.80	1.765	32
53.40	1.716	16

```
CsKMg6O7
1.0
4.992 0.000 0.000
0.000 4.992 0.000
0.000 0.000 8.046
Cs K Mg O
1 1 6 7
Direct
0.000 0.000 0.000 Cs
0.000 0.000 0.591 K
0.000 0.500 0.329 Mg
0.000 0.500 0.829 Mg
0.500 0.000 0.329 Mg
0.500 0.000 0.829 Mg
0.500 0.500 0.088 Mg
0.500 0.500 0.581 Mg
0.000 0.000 0.307 O
0.000 0.500 0.077 O
0.000 0.500 0.591 O
0.500 0.000 0.077 O
0.500 0.000 0.591 O
0.500 0.500 0.334 O
0.500 0.500 0.835 O
```

No. 5
Ni2Mo: calculated powder diffractogram (copper Kα), based on a crystal structure in the Materials Project, relaxed with GGA-PBE.
Lines closer than 0.1° are merged.

Peak list (10 most intense, 2θ from 10° to 90°, sorted by position)
Position (°2θ)	d/Å	intensity
42.08	2.147	100
42.93	2.107	94
49.29	1.849	62
49.88	1.828	30
71.07	1.326	10
72.75	1.300	36
86.75	1.123	23
88.23	1.107	11
88.46	1.105	22
88.80	1.102	11

```
Ni2Mo
1.0
-1.326 1.828 3.867
1.326 -1.828 3.867
1.326 1.828 -3.867
Ni Mo
2 1
Direct
0.169 0.169 0.000 Ni
0.831 0.831 0.000 Ni
0.500 0.500 0.000 Mo
```

No. 6
Na2LiInCl6: calculated powder diffractogram (copper Kα), based on a crystal structure in the Materials Project, relaxed with GGA-PBE.
Lines closer than 0.1° are merged.

Peak list (10 most intense, 2θ from 10° to 90°, sorted by position)
Position (°2θ)	d/Å	intensity
-- stop --
Result:
RbAuBr3: calculated powder diffractogram (copper Kα), based on a crystal structure in the Materials Project, relaxed with GGA-PBE.
YGaPd2: calculated powder diffractogram (copper Kα), based on a crystal structure in the Materials Project, relaxed with GGA-PBE.
Rb3SbBr6: calculated powder diffractogram (copper Kα), based on a crystal structure in the Materials Project, relaxed with GGA-PBE.
CsKMg6O7: calculated powder diffractogram (copper Kα), based on a crystal structure in the Materials Project, relaxed with GGA-PBE.
Ni2Mo: calculated powder diffractogram (copper Kα), based on a crystal structure in the Materials Project, relaxed with GGA-PBE.
Na2LiInCl6: calculated powder diffractogram (copper Kα), based on a crystal structure in the Materials Project, relaxed with GGA-PBE.